Data:
/*
This record from the Materials Project database describes an optimized crystal structure of NaHfZnPS2O12. The functional is PBE-GGA.

```
data_NaHfZnPS2O12
_chemical_formula_sum 'Na12 Hf12 Zn12 P12 S24 O144'
_space_group_name_H-M_alt 'C 1 c 1'
_space_group_IT_number 9
_space_group_name_Hall 'C -2yc'
_cell_length_a 15.153
_cell_length_b 8.787
_cell_length_c 23.072
_cell_angle_alpha 90.00
_cell_angle_beta 90.31
_cell_angle_gamma 90.00
loop_
_atom_site_label
_atom_site_type_symbol
_atom_site_fract_x
_atom_site_fract_y
_atom_site_fract_z
Na1 Na 0.000 0.000 0.000
Na2 Na 0.165 0.493 0.333
Na3 Na 0.326 0.008 0.167
Hf1 Hf 0.161 0.498 0.985
Hf2 Hf 0.325 0.013 0.318
Hf3 Hf 0.495 0.499 0.152
Zn1 Zn 0.168 0.484 0.189
Zn2 Zn 0.317 0.005 0.022
Zn3 Zn 0.494 0.498 0.855
P1 P 0.164 0.208 0.090
P2 P 0.178 0.143 0.423
P3 P 0.349 0.362 0.257
S1 S 0.015 0.359 0.590
S2 S 0.139 0.151 0.756
S3 S 0.306 0.351 0.590
S4 S 0.330 0.290 0.922
S5 S 0.472 0.148 0.424
S6 S 0.495 0.207 0.756
O1 O 0.008 0.186 0.594
O2 O 0.009 0.200 0.308
O3 O 0.056 0.419 0.642
O4 O 0.062 0.428 0.928
O5 O 0.071 0.381 0.536
O6 O 0.071 0.394 0.248
O7 O 0.077 0.108 0.096
O8 O 0.087 0.074 0.413
O9 O 0.089 0.121 0.808
O10 O 0.100 0.076 0.703
O11 O 0.147 0.311 0.034
O12 O 0.150 0.315 0.747
O13 O 0.173 0.322 0.429
O14 O 0.175 0.304 0.143
O15 O 0.222 0.078 0.476
O16 O 0.230 0.076 0.761
O17 O 0.239 0.117 0.368
O18 O 0.244 0.105 0.083
O19 O 0.247 0.387 0.928
O20 O 0.254 0.377 0.641
O21 O 0.257 0.427 0.250
O22 O 0.266 0.423 0.536
O23 O 0.315 0.195 0.869
O24 O 0.320 0.187 0.582
O25 O 0.342 0.181 0.261
O26 O 0.343 0.199 0.975
O27 O 0.393 0.424 0.311
O28 O 0.395 0.428 0.595
O29 O 0.406 0.392 0.916
O30 O 0.407 0.387 0.201
O31 O 0.412 0.114 0.762
O32 O 0.421 0.116 0.475
O33 O 0.427 0.076 0.081
O34 O 0.433 0.075 0.370
O35 O 0.481 0.305 0.703
O36 O 0.484 0.311 0.416
```

Properties
Energy of formation from the pure elements (kcal/mol of atoms): -56.825
Crystal system: monoclinic
Magnetization (μB per atom): 0.000

~~~~~

First-principles (GGA-PBE) data for an optimized crystal structure of LiLa8Cu3O16, as listed in the Materials Project database.

```
28
Lattice="7.0937 0.0000 0.0000 -2.0131 7.3203 0.0000 -2.0381 -0.5828 7.2902" Properties=species:S:1:pos:R:3 pbc="T T T"
Li 0.0000 0.0000 0.0000
La -0.3512 1.8542 5.9751
La -1.3693 5.5196 6.0106
La -0.3383 5.8498 2.2903
La 0.6902 2.1129 2.3262
La 2.3522 4.6246 4.9641
La 3.3807 0.8877 5.0000
La 4.4117 1.2179 1.2796
La 3.3936 4.8833 1.3152
Cu -1.0191 -0.2914 3.6451
Cu -1.0066 3.6602 0.0000
Cu -2.0256 3.3688 3.6451
O -1.4815 -0.4295 5.4431
O -0.4752 1.8767 0.0169
O -1.4706 3.5219 1.8161
O -2.4990 5.2259 3.6607
O 0.1764 3.9106 4.3711
O 2.2076 0.5410 0.7228
O 1.2440 0.4099 4.2524
O 1.2563 4.3661 0.6061
O 1.7861 2.3714 6.6842
O 1.7984 6.3277 3.0378
O 0.8348 6.1965 6.5675
O 2.8660 2.8270 2.9191
O 5.5414 1.5116 3.6295
O 4.5130 3.2156 5.4741
O 3.5176 4.8608 7.2733
O 4.5239 7.1670 1.8471
```

The distance to the lowest polymorph of the same formula is 0.00 kcal/mol of atoms. Its space group is P-1. As for the crystal system: triclinic. As for the total moment: 0.000 μB/atom. The final energy is -7.4252 eV per atom.



First-principles (GGA-PBE) data for an optimized crystal structure of LiLa14Cu6O28, as listed in the Materials Project database.

```
98
Lattice="7.0858 0.0000 0.0000 3.0419 11.2940 0.0000 2.0177 3.4393 16.6372" Properties=species:S:1:pos:R:3 pbc="T T T"
Li 0.0000 0.0000 0.0000
Li 1.0089 1.7197 8.3186
La 1.6853 4.4779 6.8659
La 2.6908 6.1496 15.1058
La 4.3704 9.3776 13.4486
La 3.3650 7.6144 5.0362
La 1.6741 1.8918 2.0621
La 2.6756 3.5705 10.2951
La 4.3783 6.7836 8.6954
La 3.3700 5.0073 0.2867
La 6.7352 14.0765 14.0085
La 5.7336 12.3078 5.5996
La 4.3677 4.1761 3.9489
La 5.3846 5.8464 12.1772
La 6.7204 11.4946 9.1984
La 5.7066 9.7300 0.8006
La 6.4388 5.0033 15.8366
La 5.4250 3.2387 7.4388
La 6.7609 8.8869 4.4600
La 7.7778 10.5572 12.6883
La 6.4119 2.4256 11.0376
La 5.4102 0.6568 2.6287
La 8.7755 9.7261 16.3504
La 7.7672 7.9497 7.9418
*/

Activity:
Type out all of the entries further up without additions.

Worked solution:
This record from the Materials Project database describes an optimized crystal structure of NaHfZnPS2O12. The functional is PBE-GGA.

```
data_NaHfZnPS2O12
_chemical_formula_sum 'Na12 Hf12 Zn12 P12 S24 O144'
_space_group_name_H-M_alt 'C 1 c 1'
_space_group_IT_number 9
_space_group_name_Hall 'C -2yc'
_cell_length_a 15.153
_cell_length_b 8.787
_cell_length_c 23.072
_cell_angle_alpha 90.00
_cell_angle_beta 90.31
_cell_angle_gamma 90.00
loop_
_atom_site_label
_atom_site_type_symbol
_atom_site_fract_x
_atom_site_fract_y
_atom_site_fract_z
Na1 Na 0.000 0.000 0.000
Na2 Na 0.165 0.493 0.333
Na3 Na 0.326 0.008 0.167
Hf1 Hf 0.161 0.498 0.985
Hf2 Hf 0.325 0.013 0.318
Hf3 Hf 0.495 0.499 0.152
Zn1 Zn 0.168 0.484 0.189
Zn2 Zn 0.317 0.005 0.022
Zn3 Zn 0.494 0.498 0.855
P1 P 0.164 0.208 0.090
P2 P 0.178 0.143 0.423
P3 P 0.349 0.362 0.257
S1 S 0.015 0.359 0.590
S2 S 0.139 0.151 0.756
S3 S 0.306 0.351 0.590
S4 S 0.330 0.290 0.922
S5 S 0.472 0.148 0.424
S6 S 0.495 0.207 0.756
O1 O 0.008 0.186 0.594
O2 O 0.009 0.200 0.308
O3 O 0.056 0.419 0.642
O4 O 0.062 0.428 0.928
O5 O 0.071 0.381 0.536
O6 O 0.071 0.394 0.248
O7 O 0.077 0.108 0.096
O8 O 0.087 0.074 0.413
O9 O 0.089 0.121 0.808
O10 O 0.100 0.076 0.703
O11 O 0.147 0.311 0.034
O12 O 0.150 0.315 0.747
O13 O 0.173 0.322 0.429
O14 O 0.175 0.304 0.143
O15 O 0.222 0.078 0.476
O16 O 0.230 0.076 0.761
O17 O 0.239 0.117 0.368
O18 O 0.244 0.105 0.083
O19 O 0.247 0.387 0.928
O20 O 0.254 0.377 0.641
O21 O 0.257 0.427 0.250
O22 O 0.266 0.423 0.536
O23 O 0.315 0.195 0.869
O24 O 0.320 0.187 0.582
O25 O 0.342 0.181 0.261
O26 O 0.343 0.199 0.975
O27 O 0.393 0.424 0.311
O28 O 0.395 0.428 0.595
O29 O 0.406 0.392 0.916
O30 O 0.407 0.387 0.201
O31 O 0.412 0.114 0.762
O32 O 0.421 0.116 0.475
O33 O 0.427 0.076 0.081
O34 O 0.433 0.075 0.370
O35 O 0.481 0.305 0.703
O36 O 0.484 0.311 0.416
```

Properties
Energy of formation from the pure elements (kcal/mol of atoms): -56.825
Crystal system: monoclinic
Magnetization (μB per atom): 0.000

~~~~~

First-principles (GGA-PBE) data for an optimized crystal structure of LiLa8Cu3O16, as listed in the Materials Project database.

```
28
Lattice="7.0937 0.0000 0.0000 -2.0131 7.3203 0.0000 -2.0381 -0.5828 7.2902" Properties=species:S:1:pos:R:3 pbc="T T T"
Li 0.0000 0.0000 0.0000
La -0.3512 1.8542 5.9751
La -1.3693 5.5196 6.0106
La -0.3383 5.8498 2.2903
La 0.6902 2.1129 2.3262
La 2.3522 4.6246 4.9641
La 3.3807 0.8877 5.0000
La 4.4117 1.2179 1.2796
La 3.3936 4.8833 1.3152
Cu -1.0191 -0.2914 3.6451
Cu -1.0066 3.6602 0.0000
Cu -2.0256 3.3688 3.6451
O -1.4815 -0.4295 5.4431
O -0.4752 1.8767 0.0169
O -1.4706 3.5219 1.8161
O -2.4990 5.2259 3.6607
O 0.1764 3.9106 4.3711
O 2.2076 0.5410 0.7228
O 1.2440 0.4099 4.2524
O 1.2563 4.3661 0.6061
O 1.7861 2.3714 6.6842
O 1.7984 6.3277 3.0378
O 0.8348 6.1965 6.5675
O 2.8660 2.8270 2.9191
O 5.5414 1.5116 3.6295
O 4.5130 3.2156 5.4741
O 3.5176 4.8608 7.2733
O 4.5239 7.1670 1.8471
```

The distance to the lowest polymorph of the same formula is 0.00 kcal/mol of atoms. Its space group is P-1. As for the crystal system: triclinic. As for the total moment: 0.000 μB/atom. The final energy is -7.4252 eV per atom.



First-principles (GGA-PBE) data for an optimized crystal structure of LiLa14Cu6O28, as listed in the Materials Project database.

```
98
Lattice="7.0858 0.0000 0.0000 3.0419 11.2940 0.0000 2.0177 3.4393 16.6372" Properties=species:S:1:pos:R:3 pbc="T T T"
Li 0.0000 0.0000 0.0000
Li 1.0089 1.7197 8.3186
La 1.6853 4.4779 6.8659
La 2.6908 6.1496 15.1058
La 4.3704 9.3776 13.4486
La 3.3650 7.6144 5.0362
La 1.6741 1.8918 2.0621
La 2.6756 3.5705 10.2951
La 4.3783 6.7836 8.6954
La 3.3700 5.0073 0.2867
La 6.7352 14.0765 14.0085
La 5.7336 12.3078 5.5996
La 4.3677 4.1761 3.9489
La 5.3846 5.8464 12.1772
La 6.7204 11.4946 9.1984
La 5.7066 9.7300 0.8006
La 6.4388 5.0033 15.8366
La 5.4250 3.2387 7.4388
La 6.7609 8.8869 4.4600
La 7.7778 10.5572 12.6883
La 6.4119 2.4256 11.0376
La 5.4102 0.6568 2.6287
La 8.7755 9.7261 16.3504
La 7.7672 7.9497 7.9418